Excerpt =
'''
[1]
Pm12ThRh7 | GGA-PBE | relaxed

The structure in CIF format:
```
data_Pm12ThRh7
_chemical_formula_sum 'Pm12 Th1 Rh7'
_symmetry_space_group_name_H-M 'P 1'
_symmetry_Int_Tables_number 1
_symmetry_space_group_name_Hall 'P 1'
_cell_length_a 8.973
_cell_length_b 8.973
_cell_length_c 8.973
_cell_angle_alpha 107.11
_cell_angle_beta 107.11
_cell_angle_gamma 107.11
loop_
_atom_site_label
_atom_site_type_symbol
_atom_site_fract_x
_atom_site_fract_y
_atom_site_fract_z
Rh1 Rh 0.962 0.648 0.880
Rh2 Rh 0.120 0.038 0.352
Rh3 Rh 0.648 0.880 0.962
Rh4 Rh 0.500 0.500 0.500
Rh5 Rh 0.880 0.962 0.648
Rh6 Rh 0.352 0.120 0.038
Rh7 Rh 0.038 0.352 0.120
Pm1 Pm 0.463 0.158 0.383
Pm2 Pm 0.775 0.927 0.308
Pm3 Pm 0.225 0.073 0.692
Pm4 Pm 0.927 0.308 0.775
Pm5 Pm 0.158 0.383 0.463
Pm6 Pm 0.842 0.617 0.537
Pm7 Pm 0.692 0.225 0.073
Pm8 Pm 0.073 0.692 0.225
Pm9 Pm 0.617 0.537 0.842
Pm10 Pm 0.383 0.463 0.158
Pm11 Pm 0.308 0.775 0.927
Pm12 Pm 0.537 0.842 0.617
Th1 Th 0.000 0.000 0.000
```

Output
Calculated volume (Å³/atom): 29.987
SG: R-3 (148)
Calculated total energy (eV/cell): -126.10

---

[2]
CdBr2Cl | GGA-PBE | relaxed

The structure in CIF format:
```
data_CdBr2Cl
_chemical_formula_sum 'Cd1 Br2 Cl1'
_symmetry_space_group_name_H-M 'P 1'
_symmetry_Int_Tables_number 1
_symmetry_space_group_name_Hall 'P 1'
_cell_length_a 5.840
_cell_length_b 5.343
_cell_length_c 5.829
_cell_angle_alpha 77.57
_cell_angle_beta 52.82
_cell_angle_gamma 102.52
loop_
_atom_site_label
_atom_site_type_symbol
_atom_site_fract_x
_atom_site_fract_y
_atom_site_fract_z
Br1 Br 0.500 0.000 0.500
Br2 Br 0.000 0.000 0.000
Cl1 Cl 0.500 0.500 0.000
Cd1 Cd 0.000 0.500 0.500
```

Output
Calculated volume (Å³/atom): 31.669
SG: C2/m (12)
Calculated total energy (eV/cell): -7.24

---

[3]
YCd2W | GGA-PBE | relaxed

The structure in CIF format:
```
data_YCd2W
_chemical_formula_sum 'Y1 Cd2 W1'
_symmetry_space_group_name_H-M 'P 1'
_symmetry_Int_Tables_number 1
_symmetry_space_group_name_Hall 'P 1'
_cell_length_a 2.996
_cell_length_b 2.996
_cell_length_c 9.469
_cell_angle_alpha 90.00
_cell_angle_beta 90.00
_cell_angle_gamma 93.32
loop_
_atom_site_label
_atom_site_type_symbol
_atom_site_fract_x
_atom_site_fract_y
_atom_site_fract_z
Cd1 Cd 0.000 0.000 0.012
Cd2 Cd 0.500 0.500 0.261
Y1 Y 0.500 0.500 0.736
W1 W 0.000 0.000 0.492
```

Output
Calculated volume (Å³/atom): 21.210
SG: Cmm2 (35)
Calculated total energy (eV/cell): -20.00

---

Q: Look up the calculated volume of the second one.
A: 31.669 Å³/atom

---

Q: Which of these has the highest calculated volume?
A: CdBr2Cl

---

Q: Which value of calculated volume does entry 3 give?
A: 21.210 Å³/atom

---

Q: What is the formula in the third record?
A: YCd2W


# Ca5PdPt4, optimized geometry, DFT PBE
data_Ca5PdPt4
_symmetry_space_group_name_H-M 'P 4/m m m'
_symmetry_Int_Tables_number 123
_symmetry_space_group_name_Hall '-P 4 2'
_cell_length_a 3.599
_cell_length_b 3.599
_cell_length_c 16.446
_cell_angle_alpha 90.00
_cell_angle_beta 90.00
_cell_angle_gamma 90.00
loop_
_atom_site_label
_atom_site_type_symbol
_atom_site_fract_x
_atom_site_fract_y
_atom_site_fract_z
Ca1 Ca 0.000 0.000 0.000
Ca2 Ca 0.000 0.000 0.199
Ca3 Ca 0.000 0.000 0.397
Pd1 Pd 0.500 0.500 0.500
Pt1 Pt 0.500 0.500 0.100
Pt2 Pt 0.500 0.500 0.299
# **Formation enthalpy at 0 K**: -0.831 eV/atom
# **Energy**: -0.3504 Ry per atom
# **D(E_F)**: 2.4 states/eV/cell


# AlInF4, optimized geometry, DFT PBE
data_AlInF4
_symmetry_space_group_name_H-M 'P -1'
_symmetry_Int_Tables_number 2
_symmetry_space_group_name_Hall '-P 1'
_cell_length_a 5.744
_cell_length_b 6.112
_cell_length_c 7.068
_cell_angle_alpha 72.33
_cell_angle_beta 66.65
_cell_angle_gamma 83.01
loop_
_atom_site_label
_atom_site_type_symbol
_atom_site_fract_x
_atom_site_fract_y
_atom_site_fract_z
Al1 Al 0.249 0.000 0.000
In1 In 0.253 0.268 0.427
F1 F 0.002 0.208 0.941
F2 F 0.115 0.001 0.276
F3 F 0.385 0.997 0.725
F4 F 0.498 0.208 0.948
# **Energy**: -0.3848 Ry per atom
# **Formation energy (no corrections)**: -2.908 eV per atom
'''
Exercise =
Now print the whole of the material further up without additions.
Reply =
[1]
Pm12ThRh7 | GGA-PBE | relaxed

The structure in CIF format:
```
data_Pm12ThRh7
_chemical_formula_sum 'Pm12 Th1 Rh7'
_symmetry_space_group_name_H-M 'P 1'
_symmetry_Int_Tables_number 1
_symmetry_space_group_name_Hall 'P 1'
_cell_length_a 8.973
_cell_length_b 8.973
_cell_length_c 8.973
_cell_angle_alpha 107.11
_cell_angle_beta 107.11
_cell_angle_gamma 107.11
loop_
_atom_site_label
_atom_site_type_symbol
_atom_site_fract_x
_atom_site_fract_y
_atom_site_fract_z
Rh1 Rh 0.962 0.648 0.880
Rh2 Rh 0.120 0.038 0.352
Rh3 Rh 0.648 0.880 0.962
Rh4 Rh 0.500 0.500 0.500
Rh5 Rh 0.880 0.962 0.648
Rh6 Rh 0.352 0.120 0.038
Rh7 Rh 0.038 0.352 0.120
Pm1 Pm 0.463 0.158 0.383
Pm2 Pm 0.775 0.927 0.308
Pm3 Pm 0.225 0.073 0.692
Pm4 Pm 0.927 0.308 0.775
Pm5 Pm 0.158 0.383 0.463
Pm6 Pm 0.842 0.617 0.537
Pm7 Pm 0.692 0.225 0.073
Pm8 Pm 0.073 0.692 0.225
Pm9 Pm 0.617 0.537 0.842
Pm10 Pm 0.383 0.463 0.158
Pm11 Pm 0.308 0.775 0.927
Pm12 Pm 0.537 0.842 0.617
Th1 Th 0.000 0.000 0.000
```

Output
Calculated volume (Å³/atom): 29.987
SG: R-3 (148)
Calculated total energy (eV/cell): -126.10

---

[2]
CdBr2Cl | GGA-PBE | relaxed

The structure in CIF format:
```
data_CdBr2Cl
_chemical_formula_sum 'Cd1 Br2 Cl1'
_symmetry_space_group_name_H-M 'P 1'
_symmetry_Int_Tables_number 1
_symmetry_space_group_name_Hall 'P 1'
_cell_length_a 5.840
_cell_length_b 5.343
_cell_length_c 5.829
_cell_angle_alpha 77.57
_cell_angle_beta 52.82
_cell_angle_gamma 102.52
loop_
_atom_site_label
_atom_site_type_symbol
_atom_site_fract_x
_atom_site_fract_y
_atom_site_fract_z
Br1 Br 0.500 0.000 0.500
Br2 Br 0.000 0.000 0.000
Cl1 Cl 0.500 0.500 0.000
Cd1 Cd 0.000 0.500 0.500
```

Output
Calculated volume (Å³/atom): 31.669
SG: C2/m (12)
Calculated total energy (eV/cell): -7.24

---

[3]
YCd2W | GGA-PBE | relaxed

The structure in CIF format:
```
data_YCd2W
_chemical_formula_sum 'Y1 Cd2 W1'
_symmetry_space_group_name_H-M 'P 1'
_symmetry_Int_Tables_number 1
_symmetry_space_group_name_Hall 'P 1'
_cell_length_a 2.996
_cell_length_b 2.996
_cell_length_c 9.469
_cell_angle_alpha 90.00
_cell_angle_beta 90.00
_cell_angle_gamma 93.32
loop_
_atom_site_label
_atom_site_type_symbol
_atom_site_fract_x
_atom_site_fract_y
_atom_site_fract_z
Cd1 Cd 0.000 0.000 0.012
Cd2 Cd 0.500 0.500 0.261
Y1 Y 0.500 0.500 0.736
W1 W 0.000 0.000 0.492
```

Output
Calculated volume (Å³/atom): 21.210
SG: Cmm2 (35)
Calculated total energy (eV/cell): -20.00

---

Q: Look up the calculated volume of the second one.
A: 31.669 Å³/atom

---

Q: Which of these has the highest calculated volume?
A: CdBr2Cl

---

Q: Which value of calculated volume does entry 3 give?
A: 21.210 Å³/atom

---

Q: What is the formula in the third record?
A: YCd2W


# Ca5PdPt4, optimized geometry, DFT PBE
data_Ca5PdPt4
_symmetry_space_group_name_H-M 'P 4/m m m'
_symmetry_Int_Tables_number 123
_symmetry_space_group_name_Hall '-P 4 2'
_cell_length_a 3.599
_cell_length_b 3.599
_cell_length_c 16.446
_cell_angle_alpha 90.00
_cell_angle_beta 90.00
_cell_angle_gamma 90.00
loop_
_atom_site_label
_atom_site_type_symbol
_atom_site_fract_x
_atom_site_fract_y
_atom_site_fract_z
Ca1 Ca 0.000 0.000 0.000
Ca2 Ca 0.000 0.000 0.199
Ca3 Ca 0.000 0.000 0.397
Pd1 Pd 0.500 0.500 0.500
Pt1 Pt 0.500 0.500 0.100
Pt2 Pt 0.500 0.500 0.299
# **Formation enthalpy at 0 K**: -0.831 eV/atom
# **Energy**: -0.3504 Ry per atom
# **D(E_F)**: 2.4 states/eV/cell


# AlInF4, optimized geometry, DFT PBE
data_AlInF4
_symmetry_space_group_name_H-M 'P -1'
_symmetry_Int_Tables_number 2
_symmetry_space_group_name_Hall '-P 1'
_cell_length_a 5.744
_cell_length_b 6.112
_cell_length_c 7.068
_cell_angle_alpha 72.33
_cell_angle_beta 66.65
_cell_angle_gamma 83.01
loop_
_atom_site_label
_atom_site_type_symbol
_atom_site_fract_x
_atom_site_fract_y
_atom_site_fract_z
Al1 Al 0.249 0.000 0.000
In1 In 0.253 0.268 0.427
F1 F 0.002 0.208 0.941
F2 F 0.115 0.001 0.276
F3 F 0.385 0.997 0.725
F4 F 0.498 0.208 0.948
# **Energy**: -0.3848 Ry per atom
# **Formation energy (no corrections)**: -2.908 eV per atom